Reiki Workshop For Corporate In India
Calculated crystals, as found in the file
┌──
A geometry-optimized EuPuRu2 structure, computed with PBE.

Lattice parameters (Å, degrees): 3.3573 3.3573 7.2303 90.00 90.00 90.00
With the nearest neighbours (Å) after each atom.
Sites, in units of the cell vectors:
Eu 0.0000 0.0000 0.0000  8 Ru 3.18, 4 Eu 3.36
Pu 0.0000 0.0000 0.5000  8 Ru 2.81
Ru 0.5000 0.5000 0.2921  4 Pu 2.81, 1 Ru 3.01
Ru 0.5000 0.5000 0.7079  4 Pu 2.81, 1 Ru 3.01

## Properties
**Crystal system**: tetragonal
**Symmetry**: P4/mmm, No. 123
**Energy of formation**: -0.047 eV/atom
**Energy relative to the lowest polymorph listed for this composition**: 0.000 eV per atom


Compound: Cr2InIr
Source: Alexandria via LeMat-Bulk
Functional: PBE
Structure: optimized geometry

```
Cr2InIr
1.0
-2.023 4.297 -1.012
-3.330 2.309 -2.675
-3.734 0.035 2.891
Cr Ir In
2 1 1
Direct
0.010 0.010 0.921
0.490 0.490 0.579
0.750 0.750 0.750
0.250 0.250 0.250
```

The value obtained for the spin magnetization is 0.000 μB/cell. The calculation puts the density of states at the Fermi level at 3.5 states/eV per cell. The symmetry is C2/m. The calculated formation energy comes out at 0.241 eV per atom.


LiLaNiPb: relaxed, PBE-GGA.

abc: 7.063 7.063 7.063
angles: 90.00 90.00 90.00
Space group F-43m (No. 216)
One atom of each set of equivalent atoms:
Li 0.000 0.000 0.000 x4
La 0.250 0.250 0.750 x4
Ni 0.250 0.250 0.250 x4
Pb 0.000 0.000 0.500 x4

Calculated values
E, eV/atom: -4.1249
Theoretical density, Mg/m³: 7.76
E above lowest polymorph, meV per atom: 300

=====

Li2La2NiSn2Pd: relaxed, PBE-GGA.

abc: 4.853 4.853 6.871
angles: 90.00 90.00 90.00
Space group P-4m2 (No. 115)
One atom of each set of equivalent atoms:
Li 0.000 0.000 0.000 x1
Li 0.500 0.500 0.500 x1
La 0.000 0.500 0.243 x2
Ni 0.500 0.500 0.000 x1
Sn 0.000 0.500 0.755 x2
Pd 0.000 0.000 0.500 x1

Calculated values
E, eV/atom: -4.7027
Theoretical density, Mg/m³: 7.12

=====

LiLaSi2Ni: relaxed, PBE-GGA.

abc: 4.166 4.166 9.767
angles: 90.00 90.00 90.00
Space group I-4m2 (No. 119)
One atom of each set of equivalent atoms:
Li 0.000 0.000 0.000 x2
La 0.000 0.500 0.250 x2
Si 0.000 0.500 0.627 x4
Ni 0.000 0.000 0.500 x2

Calculated values
E, eV/atom: -5.2695
Theoretical density, Mg/m³: 5.11

=====

LiLaSiNi: relaxed, PBE-GGA.

abc: 6.773 6.773 6.773
angles: 90.00 90.00 90.00
Space group F-43m (No. 216)
One atom of each set of equivalent atoms:
Li 0.000 0.000 0.000 x4
La 0.000 0.000 0.500 x4
Si 0.250 0.250 0.750 x4
Ni 0.250 0.250 0.250 x4

Calculated values
E, eV/atom: -4.6054
Theoretical density, Mg/m³: 4.97
E above lowest polymorph, meV per atom: 265
└──
We often seek ways to soothe our aching back, straining eyes, bothering neck, heaviness in head and relieve overpowering tiredness and fatigue of body and mind. A way to manage anger and bothering emotions or release our frustration, insecurity, stresses and anxiety which we accumulate due to immense work pressures. We seek ways to increase our vitality, personal powers, work capacity, decision making abilities creativity, joy, health and harmony. We seek ways to take challenge of life with JOY.
Cosmic Rhythm provides 2 days Reiki Wellness Workshop for Executives, Software Engineers, Sr managers, Jr Managers, Directors, CEO’s and others to empower them and equip them with a dependable tool to manage their fast lives.
This workshop is specifically designed in a manner, keeping in view the needs of corporate/IT world. In this workshop one experiences deep relaxation/ rejuvenation and healing on body, mind and emotional levels. Learns about depths of emotions like anger / anxiety and ways to balance it. Understands ways to manage relationship at workplace, home and self more effectively. Learns to remain healthy and peaceful at any situation.

Reiki is Convenient to Practice
Reiki is a harmless therapy that requires no specialized skill, but it is extremely effective and with a wide range of application. The beauty of Reiki lies in its simplicity. One can practice it at any time and for short duration of even ten minutes, empty stomach or after eating, lying in bed, sitting on a chair or standing, before or after bath etc. It is so convenient that it can be practiced even on a flight, bus, taxi or car. Though it is simple to practice daily, yet it is very effective and holistic
Executive Health Needs to be Nourished
Misplaced calculated crystals =
The following is a DFT calculation (PBE) of an optimized crystal structure of TbY7Mg4.

Properties
total DFT energy (no corrections)	-4.537	eV/atom
energy relative to the elements	0.151	eV/atom
calculated density	4.06	g cm⁻³

Cell: 5.750 9.091 8.073 Å, 69.08 69.14 71.56°
Fractional positions:
Tb 0.000 0.000 0.000
Y 0.796 0.879 0.529
Y 0.204 0.121 0.471
Y 0.078 0.578 0.266
Y 0.922 0.422 0.734
Y 0.253 0.706 0.788
Y 0.500 0.000 0.000
Y 0.747 0.294 0.212
Mg 0.542 0.301 0.616
Mg 0.458 0.699 0.384
Mg 0.675 0.656 0.993
Mg 0.325 0.344 0.007

* * * * *

Entry 1:
# LaNdBi

A relaxed structure of LaNdBi (PBE, Alexandria via LeMat-Bulk).

## Properties
Energy relative to the elements (kJ/mol of formula units): -108
Energy (eV per atom): -4.900
SG: Immm, No. 71
Density of states at the Fermi level (states/eV/f.u.): 3.24

Cell and atoms, written as extended XYZ:
```
6
Lattice="-1.778 3.052 9.606 1.778 -3.052 9.606 1.778 3.052 -9.606" Properties=species:S:1:pos:R:3 pbc="T T T"
La 0.000 0.000 3.292
La 0.000 0.000 15.920
Nd 1.778 1.492 0.000
Nd 0.000 1.560 9.606
Bi 0.000 0.000 6.620
Bi 0.000 0.000 12.592
```

Entry 2:
# La3NdBi3

A relaxed structure of La3NdBi3 (PBE, Alexandria via LeMat-Bulk).

## Properties
Energy relative to the elements (kJ/mol of formula units): -433
Energy (eV per atom): -5.097
SG: P6_3/m, No. 176
Density of states at the Fermi level (states/eV/f.u.): 6.77

Cell and atoms, written as extended XYZ:
```
14
Lattice="9.584 0.000 0.000 -4.792 8.300 0.000 0.000 0.000 6.126" Properties=species:S:1:pos:R:3 pbc="T T T"
La -3.521 6.310 1.532
La 1.088 2.096 1.532
La 2.359 0.105 4.595
La 2.433 8.195 1.532
La 3.704 6.204 4.595
La 8.313 1.990 4.595
So much for the calculated crystals =
Enlightened management invest into executive health for overall long term benefits. A healthy employee is a more productive employee. A positive work environment fosters loyalty, lowers the rate of absenteeism, improves morale and is win win for both employer and employee.
Reduces Cholesterol, Increases hemoglobin.
# Misplaced materials data
[1]
Material: Er5FeBi4
Method: DFT, GGA-PBE
State: optimized geometry

## Properties
electronic total energy	-5.13	eV/atom
total magnetic moment	1.0	μB/f.u.
ΔH_f (0 K)	-43.2	kJ per mole of atoms
symmetry	I4
Fermi-level density of states	5.79	states/eV per cell

Cell and atoms, written as POSCAR:
```
Er5FeBi4
1.0
-4.845 4.845 3.125
4.845 -4.845 3.125
4.845 4.845 -3.125
Er Fe Bi
5 1 4
Direct
0.000 0.000 0.000
0.379 0.760 0.807
0.572 0.379 0.619
0.760 0.953 0.381
0.953 0.572 0.193
0.558 0.558 0.000
0.077 0.877 0.617
0.260 0.460 0.383
0.460 0.077 0.200
0.877 0.260 0.800
```

[2]
Material: LiLa2Tc2
Method: DFT, GGA-PBE
State: optimized geometry

## Properties
electronic total energy	-6.24	eV/atom
total magnetic moment	0.0	μB/f.u.
ΔH_f (0 K)	24.6	kJ per mole of atoms
symmetry	P4/mbm
Fermi-level density of states	13.47	states/eV per cell

Cell and atoms, written as POSCAR:
```
LiLa2Tc2
1.0
7.266 0.000 0.000
0.000 7.266 0.000
0.000 0.000 4.492
Li La Tc
2 4 4
Direct
0.000 0.000 0.000
0.500 0.500 0.000
0.184 0.316 0.500
0.316 0.816 0.500
0.684 0.184 0.500
0.816 0.684 0.500
0.112 0.612 0.000
0.388 0.112 0.000
0.612 0.888 0.000
0.888 0.388 0.000
```

[3]
Material: NaPrBiPd
Method: DFT, GGA-PBE
State: optimized geometry

## Properties
electronic total energy	-4.29	eV/atom
total magnetic moment	0.0	μB/f.u.
ΔH_f (0 K)	-47.5	kJ per mole of atoms
symmetry	F-43m
Fermi-level density of states	5.18	states/eV per cell

Cell and atoms, written as POSCAR:
```
NaPrBiPd
1.0
7.470 0.000 0.000
0.000 7.470 0.000
0.000 0.000 7.470
Na Pr Bi Pd
4 4 4 4
Direct
0.000 0.000 0.000
0.000 0.500 0.500
0.500 0.000 0.500
0.500 0.500 0.000
0.000 0.000 0.500
0.000 0.500 0.000
0.500 0.000 0.000
0.500 0.500 0.500
0.250 0.250 0.750
0.250 0.750 0.250
0.750 0.250 0.250
0.750 0.750 0.750
0.250 0.250 0.250
0.250 0.750 0.750
0.750 0.250 0.750
0.750 0.750 0.250
```

[4]
Material: ZnCdSnPd
Method: DFT, GGA-PBE
State: optimized geometry

## Properties
electronic total energy	-2.92	eV/atom
total magnetic moment	0.0	μB/f.u.
ΔH_f (0 K)	-7.6	kJ per mole of atoms
symmetry	F-43m
Fermi-level density of states	16.53	states/eV per cell

Cell and atoms, written as POSCAR:
```
ZnCdSnPd
1.0
6.760 0.000 0.000
0.000 6.760 0.000
0.000 0.000 6.760
Zn Cd Sn Pd
4 4 4 4
Direct
0.000 0.000 0.000
0.000 0.500 0.500
0.500 0.000 0.500
0.500 0.500 0.000
0.250 0.250 0.250
0.250 0.750 0.750
0.750 0.250 0.750
0.750 0.750 0.250
0.250 0.250 0.750
0.250 0.750 0.250
0.750 0.250 0.250
0.750 0.750 0.750
0.000 0.000 0.500
0.000 0.500 0.000
0.500 0.000 0.000
0.500 0.500 0.500
```

----------

VASP calculation (PBE with a Hubbard U) on a relaxed VIO2F crystal.

Geometry as POSCAR:
```
VIO2F
1.0
4.045 0.000 0.000
0.000 4.045 0.000
0.000 0.000 4.020
V I O F
1 1 2 1
Cartesian
0.000 0.000 0.000
2.022 2.022 2.010
0.000 2.022 0.000
2.022 0.000 0.000
0.000 0.000 2.010
```

Summary:
Total energy in eV/atom: -4.99
N(E_F) in states/eV/f.u.: 5.23

----------

Entry 1:
## Al2WSe (PBE-GGA)

Data for crystalline Al2WSe at its relaxed geometry.
# So much for the materials data
De-stressing and relaxing.
Relief from postural pains.
Improves concentration, Vision, Clarity.
Helps to alleviate physical and mental fatigue.
Releases negative emotions like anger, frustration, sadness, anxiety etc
Improves efficiency and decision making abilities.
Improves digestion, immune system and health.
Improves Relationship & understanding.
Helps to maintain balance at work and home
Improves peace of mind, helps in taking responsibility with ease.
Increases personal energy and vitality.
Overcome hormonal imbalances, promote detoxification.